**Material**
********
NdP5O14 after structural relaxation, computed with meta-GGA r2SCAN.

Lattice parameters (Å, degrees): 8.8013 9.0216 13.0706 90.00 90.00 90.00
With the nearest neighbours (Å) after each atom.
Atoms (fractional coordinates):
Nd1 0.2765 0.6910 0.0000  8 O 2.40-2.51
Nd2 0.2765 0.8090 0.5000  8 O 2.40-2.51
Nd3 0.7235 0.3090 0.0000  8 O 2.40-2.51
Nd4 0.7235 0.1910 0.5000  8 O 2.40-2.51
P1 0.7638 0.9495 0.8359  4 O 1.46-1.56
P2 0.0000 0.0000 0.6744  4 O 1.47-1.62
P3 0.2362 0.0505 0.8359  4 O 1.46-1.56
P4 0.2362 0.4495 0.3359  4 O 1.46-1.56
P5 0.2362 0.4495 0.6641  4 O 1.46-1.56
P6 0.6858 0.7457 0.0000  4 O 1.47-1.62
P7 0.5000 0.0000 0.2960  4 O 1.47-1.61
P8 0.7638 0.9495 0.1641  4 O 1.46-1.56
P9 0.5000 0.5000 0.7960  4 O 1.47-1.61
P10 0.3142 0.2457 0.5000  4 O 1.47-1.62
P11 0.0000 0.5000 0.1744  4 O 1.47-1.62
P12 0.7638 0.5505 0.6641  4 O 1.46-1.56
P13 0.7638 0.5505 0.3359  4 O 1.46-1.56
P14 0.6858 0.7543 0.5000  4 O 1.47-1.62
P15 0.0000 0.0000 0.3256  4 O 1.47-1.62
P16 0.5000 0.5000 0.2040  4 O 1.47-1.61
P17 0.5000 0.0000 0.7040  4 O 1.47-1.61
P18 0.3142 0.2543 0.0000  4 O 1.47-1.62
P19 0.0000 0.5000 0.8256  4 O 1.47-1.62
P20 0.2362 0.0505 0.1641  4 O 1.46-1.56
O1 0.0810 0.6187 0.1198  1 P 1.47
O2 0.5870 0.3844 0.1504  1 P 1.47
O3 0.4670 0.1864 0.0000  1 P 1.48
O4 0.5330 0.6864 0.5000  1 P 1.48
O5 0.7100 0.9156 0.5000  1 P 1.47
O6 0.2900 0.0844 0.5000  1 P 1.47
O7 0.8875 0.9178 0.2462  2 P 1.55-1.62
O8 0.2265 0.9071 0.8874  1 P 1.46
O9 0.6094 0.5860 0.7175  2 P 1.56-1.61
O10 0.9190 0.3813 0.8802  1 P 1.47
O11 0.2265 0.5929 0.3874  1 P 1.46
O12 0.2900 0.4156 0.0000  1 P 1.47
O13 0.8875 0.9178 0.7538  2 P 1.55-1.62
O14 0.5870 0.3844 0.8496  1 P 1.47
O15 0.6094 0.9140 0.2175  2 P 1.56-1.61
O16 0.5870 0.1156 0.6504  1 P 1.47
O17 0.9190 0.1187 0.6198  1 P 1.47
O18 0.4130 0.8844 0.6504  1 P 1.47
O19 0.1125 0.4178 0.7462  2 P 1.55-1.62
O20 0.4130 0.6156 0.1504  1 P 1.47
O21 0.3906 0.4140 0.7175  2 P 1.56-1.61
O22 0.6094 0.9140 0.7825  2 P 1.56-1.61
O23 0.7851 0.8113 0.0938  2 P 1.56-1.62
O24 0.6094 0.5860 0.2825  2 P 1.56-1.61
O25 0.2265 0.9071 0.1126  1 P 1.46
O26 0.2149 0.1887 0.0938  2 P 1.56-1.62
O27 0.3906 0.0860 0.2175  2 P 1.56-1.61
O28 0.7735 0.4071 0.3874  1 P 1.46
O29 0.7851 0.8113 0.9062  2 P 1.56-1.62
O30 0.9190 0.3813 0.1198  1 P 1.47
O31 0.7735 0.0929 0.1126  1 P 1.46
O32 0.9190 0.1187 0.3802  1 P 1.47
O33 0.1125 0.0822 0.7538  2 P 1.55-1.62
O34 0.8875 0.5822 0.2538  2 P 1.55-1.62
O35 0.2149 0.3113 0.4062  2 P 1.56-1.62
O36 0.1125 0.4178 0.2538  2 P 1.55-1.62
O37 0.0810 0.8813 0.6198  1 P 1.47
O38 0.2149 0.3113 0.5938  2 P 1.56-1.62
O39 0.7735 0.4071 0.6126  1 P 1.46
O40 0.7851 0.6887 0.4062  2 P 1.56-1.62
O41 0.3906 0.4140 0.2825  2 P 1.56-1.61
O42 0.1125 0.0822 0.2462  2 P 1.55-1.62
O43 0.2149 0.1887 0.9062  2 P 1.56-1.62
O44 0.3906 0.0860 0.7825  2 P 1.56-1.61
O45 0.4130 0.6156 0.8496  1 P 1.47
O46 0.5330 0.8136 0.0000  1 P 1.48
O47 0.7851 0.6887 0.5938  2 P 1.56-1.62
O48 0.8875 0.5822 0.7462  2 P 1.55-1.62
O49 0.4670 0.3136 0.5000  1 P 1.48
O50 0.0810 0.8813 0.3802  1 P 1.47
O51 0.4130 0.8844 0.3496  1 P 1.47
O52 0.5870 0.1156 0.3496  1 P 1.47
O53 0.2265 0.5929 0.6126  1 P 1.46
O54 0.7100 0.5844 0.0000  1 P 1.47
O55 0.7735 0.0929 0.8874  1 P 1.46
O56 0.0810 0.6187 0.8802  1 P 1.47

As for the total magnetization: 0.000 μB/f.u. The space group is Pmna. The formation energy comes out at -51.3 eV/f.u.
********

**Activity**
Now transcribe all of the lines further above exactly.

**Worked solution**
NdP5O14 after structural relaxation, computed with meta-GGA r2SCAN.

Lattice parameters (Å, degrees): 8.8013 9.0216 13.0706 90.00 90.00 90.00
With the nearest neighbours (Å) after each atom.
Atoms (fractional coordinates):
Nd1 0.2765 0.6910 0.0000  8 O 2.40-2.51
Nd2 0.2765 0.8090 0.5000  8 O 2.40-2.51
Nd3 0.7235 0.3090 0.0000  8 O 2.40-2.51
Nd4 0.7235 0.1910 0.5000  8 O 2.40-2.51
P1 0.7638 0.9495 0.8359  4 O 1.46-1.56
P2 0.0000 0.0000 0.6744  4 O 1.47-1.62
P3 0.2362 0.0505 0.8359  4 O 1.46-1.56
P4 0.2362 0.4495 0.3359  4 O 1.46-1.56
P5 0.2362 0.4495 0.6641  4 O 1.46-1.56
P6 0.6858 0.7457 0.0000  4 O 1.47-1.62
P7 0.5000 0.0000 0.2960  4 O 1.47-1.61
P8 0.7638 0.9495 0.1641  4 O 1.46-1.56
P9 0.5000 0.5000 0.7960  4 O 1.47-1.61
P10 0.3142 0.2457 0.5000  4 O 1.47-1.62
P11 0.0000 0.5000 0.1744  4 O 1.47-1.62
P12 0.7638 0.5505 0.6641  4 O 1.46-1.56
P13 0.7638 0.5505 0.3359  4 O 1.46-1.56
P14 0.6858 0.7543 0.5000  4 O 1.47-1.62
P15 0.0000 0.0000 0.3256  4 O 1.47-1.62
P16 0.5000 0.5000 0.2040  4 O 1.47-1.61
P17 0.5000 0.0000 0.7040  4 O 1.47-1.61
P18 0.3142 0.2543 0.0000  4 O 1.47-1.62
P19 0.0000 0.5000 0.8256  4 O 1.47-1.62
P20 0.2362 0.0505 0.1641  4 O 1.46-1.56
O1 0.0810 0.6187 0.1198  1 P 1.47
O2 0.5870 0.3844 0.1504  1 P 1.47
O3 0.4670 0.1864 0.0000  1 P 1.48
O4 0.5330 0.6864 0.5000  1 P 1.48
O5 0.7100 0.9156 0.5000  1 P 1.47
O6 0.2900 0.0844 0.5000  1 P 1.47
O7 0.8875 0.9178 0.2462  2 P 1.55-1.62
O8 0.2265 0.9071 0.8874  1 P 1.46
O9 0.6094 0.5860 0.7175  2 P 1.56-1.61
O10 0.9190 0.3813 0.8802  1 P 1.47
O11 0.2265 0.5929 0.3874  1 P 1.46
O12 0.2900 0.4156 0.0000  1 P 1.47
O13 0.8875 0.9178 0.7538  2 P 1.55-1.62
O14 0.5870 0.3844 0.8496  1 P 1.47
O15 0.6094 0.9140 0.2175  2 P 1.56-1.61
O16 0.5870 0.1156 0.6504  1 P 1.47
O17 0.9190 0.1187 0.6198  1 P 1.47
O18 0.4130 0.8844 0.6504  1 P 1.47
O19 0.1125 0.4178 0.7462  2 P 1.55-1.62
O20 0.4130 0.6156 0.1504  1 P 1.47
O21 0.3906 0.4140 0.7175  2 P 1.56-1.61
O22 0.6094 0.9140 0.7825  2 P 1.56-1.61
O23 0.7851 0.8113 0.0938  2 P 1.56-1.62
O24 0.6094 0.5860 0.2825  2 P 1.56-1.61
O25 0.2265 0.9071 0.1126  1 P 1.46
O26 0.2149 0.1887 0.0938  2 P 1.56-1.62
O27 0.3906 0.0860 0.2175  2 P 1.56-1.61
O28 0.7735 0.4071 0.3874  1 P 1.46
O29 0.7851 0.8113 0.9062  2 P 1.56-1.62
O30 0.9190 0.3813 0.1198  1 P 1.47
O31 0.7735 0.0929 0.1126  1 P 1.46
O32 0.9190 0.1187 0.3802  1 P 1.47
O33 0.1125 0.0822 0.7538  2 P 1.55-1.62
O34 0.8875 0.5822 0.2538  2 P 1.55-1.62
O35 0.2149 0.3113 0.4062  2 P 1.56-1.62
O36 0.1125 0.4178 0.2538  2 P 1.55-1.62
O37 0.0810 0.8813 0.6198  1 P 1.47
O38 0.2149 0.3113 0.5938  2 P 1.56-1.62
O39 0.7735 0.4071 0.6126  1 P 1.46
O40 0.7851 0.6887 0.4062  2 P 1.56-1.62
O41 0.3906 0.4140 0.2825  2 P 1.56-1.61
O42 0.1125 0.0822 0.2462  2 P 1.55-1.62
O43 0.2149 0.1887 0.9062  2 P 1.56-1.62
O44 0.3906 0.0860 0.7825  2 P 1.56-1.61
O45 0.4130 0.6156 0.8496  1 P 1.47
O46 0.5330 0.8136 0.0000  1 P 1.48
O47 0.7851 0.6887 0.5938  2 P 1.56-1.62
O48 0.8875 0.5822 0.7462  2 P 1.55-1.62
O49 0.4670 0.3136 0.5000  1 P 1.48
O50 0.0810 0.8813 0.3802  1 P 1.47
O51 0.4130 0.8844 0.3496  1 P 1.47
O52 0.5870 0.1156 0.3496  1 P 1.47
O53 0.2265 0.5929 0.6126  1 P 1.46
O54 0.7100 0.5844 0.0000  1 P 1.47
O55 0.7735 0.0929 0.8874  1 P 1.46
O56 0.0810 0.6187 0.8802  1 P 1.47

As for the total magnetization: 0.000 μB/f.u. The space group is Pmna. The formation energy comes out at -51.3 eV/f.u.